9 min read

Energy Management: The Key to Sustained High Performance for Technical Leaders

Energy Management: The Key to Sustained High Performance for Technical Leaders

So you want to be a great technical leader.

Or perhaps you just want to feel more on top of things at work.

If so, it is best to have strategies for dealing with overwhelm, pressure, stress about upcoming deadlines, imposter syndrome and fears around failure or your self-worth.

I have a game-changer to share with you: energy management, and it is the key to unlocking consistent, sustained performance over time for those in technical leadership.

I want to show you why high performance means more than just technical know-how, level of care, hours worked and effort. It's also about conquering the mental obstacles that can hijack your decision-making, hinder your progress, and stop you from consistently showing up at a level you can sustain.

Without this ability, things will become too much at a certain point in your career, and it will be downhill from there. Moving to a new company will only bring a temporary reprieve.

I hope this sounds interesting and relevant, as it has undoubtedly served me extremely well in my life and career to know how to combat these feelings, and it will also help you.

Read on.

Mental Obstacles That Hijack Your Decision-Making

This section will give some examples of mental obstacles to be aware of. It's not meant to be exhaustive, and that's by design. Later in this article, the information there can help you with many mental obstacles in technical leadership, not just those listed here.

What I'm looking to do here is help you identify the common ones with some context so you can start to notice others applicable to your situation. Only some things in the short descriptions below may apply to your situation. Generally, you'll know when something is wrong. You'll feel stressed, worried or anxious, or the imposter syndrome will come on strong as some examples. These things drain your energy and can leave you feeling paralyzed to act or frustrated to the point you don't want to act, creating a self-fulfilling prophecy of failure.

Here are some examples of mental obstacles:

The fear of failure. An overwhelming sense of apprehension and anxiety when faced with the possibility of falling short or experiencing negative outcomes. It immobilizes us, making it difficult to take action or make decisions. We become paralyzed by the fear of not meeting expectations or being seen as inadequate. We worry about what others will think about us if we do fail.

Imposter syndrome. A persistent belief that our achievements result from luck or deception rather than our actual abilities. We fear being "found out" or "exposed" as a fraud and downplay our accomplishments. Despite evidence of competence, We doubt our skills, abilities, and achievements.

Defending the past and neglecting the future. An inclination to cling to the comfort and familiarity of the past, resisting change and innovation. We become fixated on preserving existing systems, ideas, or decisions, often at the expense of progress and growth. We spend a lot of time defending past decisions or environments, especially ones we were involved in, rather than being open to new possibilities. Focus is placed on why we can't do something rather than why we can first.

Avoiding ownership and dodging accountability. The tendency to evade taking responsibility for things, our actions, decisions, or their consequences. We engage in behaviours such as shifting blame, making excuses, or minimizing our role in a situation. By avoiding ownership and accountability, we don't need to be the ones to answer for a situation and can point fingers at others instead.

Resistance to change. It manifests as a reluctance to embrace new ideas, processes, or perspectives, often stemming from fear, comfort zones, or the desire to maintain the status quo.

Sometimes, you may simply disagree with a change, and that's ok. In those cases, you must identify which changes you're prepared to "die on a hill" for and speak up. Good leaders do this. The information on this page can help you get clear on your next actions. This shouldn't be for every change, though — pick your battles, and don't create unnecessary noise.

Energy Management: How It Helps

So now you know what to watch out for in your feelings, let's talk about energy management and how it can help in these situations. Later we'll talk about how to implement it. This section is just talking about the concept.

The simplest way I could explain energy management is knowing when to give yourself a pat on the back or a kick in the ass. Everyone needs to be able to apply a healthy level of self-care without bullshitting themselves. Some things need your attention, and others don't. Sometimes you've done an excellent job, and other times you need to kick it up a gear.

One's ability to self-regulate the balance of these extremes will determine the consistent level of performance one can maintain.

An energy management framework can help you identify situations and your next steps to address them, such as decisions, actions, deferral, or even just taking a break to clear your mind. Without immediately changing the situation, it does change your empowerment and your sense of control of the situation.

Within this framework, you can allow yourself bad days and frustrating weeks at work, and dislike your job for periods of time, knowing that's perfectly ok.

And when that happens, you'll be able to surface the challenges and root causes behind those feelings and begin to address them for what they are constructively rather than jump to conclusions. You'll never always love your job, and that's ok. You'll never be at your best week in and week out. I feel like this is a taboo topic for some, but it doesn't need to be. Often, you will find your greatest triumphs and growth come from overcoming the things that initially challenge you.

Sometimes the answer is you do need to dig in and deal with what's in front of you. The answer is to address our problems head-on. That's the "don't bullshit yourself" side of things — same problem and situation, but with a mindset shift to empowerment and control.

Other times, you need to walk away, maybe permanently, but at least you'll do that with a clear head rather than just reacting.

Consistency is what matters over time. You don't need to be at 100% every single week to achieve big milestones and grow. You do need to show up consistently at a high enough level, though.

How to Implement Energy Management

Let's now talk about how to get started with energy management.

Before discussing more context on why they work from a mindset perspective, I will share some prompting questions you can use to begin managing your energy and dealing with what's in front of you. Using these questions will help in most situations. For others, the concepts later in the article will help.

The key to using these questions effectively is to set aside time to think deeply about them and how they apply to your situation without interruptions. Write down your answers for added effect.

Recall where you were the last time meaningful thoughts came to you. It may have been while you were taking a walk or on a long drive in your car. That's a great place to ponder these questions. For me, I like to walk and sit on the beach.

That's all there is to it. There is no magic trick, whole books have been written about the questions I'll share now, and to get the most out of them, you just need to be prepared to sit, think with focus and answer them thoughtfully. I have been amazed at how effective and valuable one quote or sentence from a book can be if you think about it deeply as it applies to your situation.

More than one of these questions will apply to most mental obstacles, looking at it from different angles.

Ask yourself — If I'd just been hired and today was my first day on the job, what would I think or do about this situation?

This question helps with mental obstacles such as bias on past decisions versus a desired future state and taking ownership of a situation. Often I see people unable to look at situations objectively or to separate themselves from past decisions they or the teams they manage have made. As a result, a lot of time is spent talking about why things are the way they are versus how they could be.

The benefit of a new, skilled hire coming in is the fresh perspective they bring without the baggage.

Suppose you envision yourself as a newcomer, untethered by the weight of past decisions and biases. In that case, you develop the ability to view the present situation objectively and clearly.

This mindset shift allows you to evaluate the present challenges based on their own merits and merits alone. You reinvent yourself and avoid becoming stale. You become the proactive agent of change without being influenced by past decisions that may no longer align with the desired future state.

Ask yourself — What am I worried about? What can I do about it? When am I going to start doing it?

No. 1
Crystalline Er2BiTe2 at its relaxed geometry. Source: Alexandria, functional GGA-PBE.

Structure (POSCAR):
```
Er2BiTe2
1.0
5.3588 -5.7973 0.0000
5.3588 5.7973 0.0000
-2.8613 0.0000 5.2592
Er Bi Te
4 2 4
Cartesian
3.2128 4.5409 3.9444 Er
4.6435 1.9208 1.3148 Er
3.2128 -1.9208 3.9444 Er
4.6435 -4.5409 1.3148 Er
3.2128 1.4033 3.9444 Bi
4.6435 -1.4033 1.3148 Bi
-0.8047 1.2416 5.0577 Te
0.6260 -1.2416 2.4281 Te
7.2303 1.2416 2.8312 Te
8.6610 -1.2416 0.2015 Te
```

Its space-group type is No. 15. Its density of states at the Fermi level is 0.57 states/eV per atom. Its uncorrected formation energy is -82 kJ per mole of atoms.

No. 2
Crystalline CsZnGaHg2 at its relaxed geometry. Source: Alexandria, functional GGA-PBE.

Structure (POSCAR):
```
CsZnGaHg2
1.0
5.5718 0.0000 0.0000
0.0000 5.5718 0.0000
0.0000 0.0000 5.0954
Cs Zn Ga Hg
1 1 1 2
Cartesian
0.0000 0.0000 0.0000 Cs
2.7859 2.7859 2.5477 Zn
2.7859 2.7859 0.0000 Ga
0.0000 2.7859 2.5477 Hg
2.7859 0.0000 2.5477 Hg
```

The value obtained for the formation energy from the elements is -0.01 eV per atom. Its space-group type is No. 123. Its density of states at the Fermi level is 0.40 states/eV per atom. The value obtained for the energy above the most stable polymorph in this dataset is 0.015 eV per atom.

No. 3
Crystalline KNiMo at its relaxed geometry. Source: Alexandria, functional GGA-PBE.

Structure (POSCAR):
```
KNiMo
1.0
0.0000 3.2571 3.2571
3.2571 0.0000 3.2571
3.2571 3.2571 0.0000
K Ni Mo
1 1 1
Cartesian
0.0000 0.0000 0.0000 K
4.8856 4.8856 4.8856 Ni
3.2571 3.2571 3.2571 Mo
```

The value obtained for the formation energy from the elements is 1.80 eV per atom. Its space-group type is No. 216. Its density of states at the Fermi level is 1.96 states/eV per atom. The value obtained for the energy above the most stable polymorph in this dataset is 1.002 eV per atom.

No. 4
Crystalline HoNp at its relaxed geometry. Source: Alexandria, functional GGA-PBE.

Structure (POSCAR):
```
HoNp
1.0
3.3140 0.0000 0.0000
-1.6570 2.8700 0.0000
0.0000 0.0000 5.7340
Ho Np
1 1
Cartesian
0.0000 0.0000 0.0000 Ho
1.6570 0.9567 2.8670 Np
```

The value obtained for the formation energy from the elements is 0.52 eV per atom. Its space-group type is No. 187. Its density of states at the Fermi level is 3.15 states/eV per atom.

No. 5
Crystalline PIrBr2 at its relaxed geometry. Source: Alexandria, functional GGA-PBE.

Structure (POSCAR):
```
PIrBr2
1.0
11.0270 -1.3208 0.0000
11.0270 1.3208 0.0000
-0.6075 0.0000 3.8076
P Ir Br
1 1 2
Cartesian
0.0000 0.0000 0.0000 P
10.7233 0.0000 1.9038 Ir
3.3789 0.0000 0.5198 Br
18.0678 0.0000 3.2877 Br
```

Its space-group type is No. 12. Its density of states at the Fermi level is 0.60 states/eV per atom. Its uncorrected formation energy is 23 kJ per mole of atoms. The value obtained for the energy above the most stable polymorph in this dataset is 0.678 eV per atom.

No. 6
Crystalline Ca4HgPt2 at its relaxed geometry. Source: Alexandria, functional GGA-PBE.

Structure (POSCAR):

This one helps deal with worry around failure, change and imposter syndrome, to name a few.

It's so powerful and also humbling, given these prompting questions come from a book written 75 years ago. It shows me that humans haven't changed much, and we all feel or have felt the same things at different times.

I recommend the book "How to stop worrying and start living" for more on this concept. The book is 75 years old, and some examples appear dated, but they are as relevant now as they were then. For more, see https://www.gregfreeman.co/5-books-that-will-help-you-build-confidence-and-overcome-leadership-challenges/

In asking yourself these three sentences, a few common scenarios play out.

What comes next are crystal structures, not part of the text:
+++
This record from Alexandria describes a geometry-optimized LiHoHfRh structure. The functional is PBE.

Cell and atoms, written as POSCAR:
```
LiHoHfRh
1.0
-2.371 3.846 -1.509
-4.763 -0.007 -0.053
-2.420 2.677 3.108
Hf Rh Li Ho
1 1 1 1
direct
0.750 0.750 0.750 Hf
0.000 0.000 0.000 Rh
0.500 0.500 0.500 Li
0.250 0.250 0.250 Ho
```

ΔH_f (0 K)	-0.374	eV/atom
+++
So much for the crystal structures:

  1. You identify an actionable next step to address your worry and commit to doing it. This is empowering as opposed to worry, which drains your energy. For example, you may make a case and escalate it to your manager.
  2. You realize you've already taken the steps you need to do to address your worry. This helps with imposter syndrome to reflect on actions taken and where to focus your time, which should be on things you can control. The situation may not be solved yet, but you've done what you needed to do at this stage. Some upcoming information in this article about accepting the possibility of failure will help if you still feel uncomfortable.
  3. You realize you can't do anything about what you're worrying about, or it's not worth the time. It's out of your control, and your focus is better spent elsewhere. This one can be hard to accept, especially if some ramifications may come back to you, which can happen sometimes. More advice will follow on this below.

Ask yourself — What is the one thing I could do that by doing it, everything else will be easier or unnecessary?

Everyone has that next essential task they've been putting off that they just need to get started on. Most of us are master procrastinators.

That's the essence of what this prompting question is getting at. Whole books have been written on this concept, and you don't need to read them to get started. You just need to think about this question deeply.

I recommend the books "Essentialism" and "The One Thing" for more on this concept. Both are similar books. For more, see https://www.gregfreeman.co/5-books-that-will-help-you-build-confidence-and-overcome-leadership-challenges/

I like to add another dimension here to ask yourself this question on a micro (small) and macro (large) scale. A small thing might be completing some requested feedback for a team that unblocks them and takes 30 minutes of my time versus a large multi-quarter initiative of high strategic importance. Both are important to consider.

The "Getting Things Done" book and method (also mentioned in the link above) works well paired with a focus on the essential and most valuable work you need to be doing. I have created a video explaining how I do this here: https://www.gregfreeman.co/how-i-organize-my-week/

Mindset Shifts For Energy Management

Now that we've covered some practical techniques, I wanted to give you further concepts and readings about some of the fundamentals behind them.

You must accept that failure is always a possibility, and luck and chance always play a role.

_Unrelated to this entry: crystal structures_
-- begin --
[1]
NaMnSnSe3 | GGA-PBE | relaxed

Magnetic moment (μB/cell): 6.21
SG: P2_1/m, No. 11

Cell and atoms, written as extended XYZ:
```
12
Lattice="4.150 0.000 0.000 0.000 8.539 0.482 0.000 -1.844 9.114" Properties=species:S:1:pos:R:3 pbc="T T T"
Se 1.038 3.520 8.018
Se 3.113 7.317 1.913
Se 3.113 0.774 4.848
Se 3.113 3.175 1.579
Se 1.038 -0.621 7.683
Se 1.038 5.921 4.748
Na 3.113 5.717 7.899
Na 1.038 0.979 1.697
Mn 3.113 7.103 4.303
Mn 1.038 -0.408 5.293
Sn 3.113 1.471 7.945
Sn 1.038 5.224 1.651
```

=====

[2]
Na3TaMn3Se8 | GGA-PBE | relaxed

Magnetic moment (μB/cell): 13.03
SG: R-3m, No. 166

Cell and atoms, written as extended XYZ:
```
15
Lattice="-4.582 2.043 5.658 -2.902 -1.861 -6.731 3.005 -6.189 4.668" Properties=species:S:1:pos:R:3 pbc="T T T"
Se -2.707 -0.306 5.519
Se -2.612 -3.716 4.279
Se -0.309 -4.763 1.469
Se -4.082 -4.671 0.929
Se -1.772 -5.701 -1.924
Se -1.866 -2.291 -0.684
Se -0.396 -1.336 2.667
Se -4.169 -1.244 2.126
Na 0.000 0.000 0.000
Na -1.451 -0.930 -3.366
Na -3.742 0.091 -0.536
Mn 0.052 -4.025 -1.031
Mn -2.239 -3.003 1.798
Mn -0.788 -2.073 5.163
Ta 1.503 -3.094 2.334
```

=====

[3]
Na2Ta2MnSe6 | GGA-PBE | relaxed

Magnetic moment (μB/cell): 4.53
SG: C2/m, No. 12

Cell and atoms, written as extended XYZ:
```
11
Lattice="-2.186 4.242 -4.320 3.448 -5.057 -1.993 -6.412 -3.642 0.972" Properties=species:S:1:pos:R:3 pbc="T T T"
Se -3.204 -4.340 -0.328
Se -3.830 -3.292 -3.884
Se -5.167 -1.099 -1.138
Se -1.320 -1.165 -1.458
Se -1.945 -0.117 -5.014
Se 0.018 -3.357 -4.203
Mn -3.206 -1.821 0.486
Na 2.443 -3.398 -2.409
Na -1.180 2.583 -3.905
Ta -3.346 -0.956 -2.989
Ta -1.804 -3.501 -2.352
```

=====

[4]
Na4TaMn3Se8 | GGA-PBE | relaxed

Magnetic moment (μB/cell): 14.03
SG: R-3m, No. 166

Cell and atoms, written as extended XYZ:
```
16
Lattice="-3.640 -5.075 4.574 0.767 -5.773 -5.795 6.417 3.545 2.489" Properties=species:S:1:pos:R:3 pbc="T T T"
Mn 3.592 -1.114 -1.653
Mn -1.436 -5.424 -0.610
Mn 1.772 -3.651 0.634
Se 0.859 -3.662 3.172
Se -0.569 -2.875 -0.460
Se 2.685 -3.641 -1.903
Se -2.440 -5.484 1.892
Se 5.985 -1.819 -0.624
Se 0.852 -6.095 0.467
Se 2.692 -1.208 0.802
Se 4.113 -4.428 1.728
Ta 0.383 -2.887 -2.897
Na -1.820 -2.538 2.287
Na 0.000 0.000 0.000
Na 1.389 -0.765 3.532
Na 3.209 1.773 1.245
```

=====

[5]
NaTb2MnSe4 | GGA-PBE | relaxed

Magnetic moment (μB/cell): 4.16
SG: I-4m2, No. 119

Cell and atoms, written as extended XYZ:
```
8
Lattice="5.747 0.003 0.000 -0.003 5.747 0.000 -2.872 -2.875 5.745" Properties=species:S:1:pos:R:3 pbc="T T T"
Se 0.000 0.000 2.859
Se 2.872 2.875 2.886
Se 2.873 0.001 0.059
Se 2.873 0.001 5.686
Tb 0.000 0.000 0.000
Tb -0.001 2.873 2.873
Mn 2.873 0.001 2.873
Na 2.872 2.875 0.000
```

=====

[6]
Na2TbMnSe4 | GGA-PBE | relaxed

Magnetic moment (μB/cell): 4.00
SG: P2/m, No. 10

Cell and atoms, written as extended XYZ:
```
8
Lattice="4.025 0.000 0.000 0.000 6.852 0.110 0.000 -2.407 6.963" Properties=species:S:1:pos:R:3 pbc="T T T"
Na 0.000 2.222 3.537
Na 2.012 -1.204 3.482
Tb 0.000 0.000 0.000
-- stop --

The book that helped me most with this concept is "Thinking In Bets" and more details are on this page: https://www.gregfreeman.co/5-books-that-will-help-you-build-confidence-and-overcome-leadership-challenges/

Prepare yourself to accept the worst possible outcome.

Once you accept this, you're free.

Yes, at some point in your career, despite your efforts, you may need to fall on the sword and answer for subpar results. You will be held accountable, maybe even for the results of others.

The kicker is, if you don't accept this now, you can't take the actions or make the decisions needed to have a chance at success. Failure can become self-fulfilling otherwise as our energy is drained focusing on other things.

This may sound unfair. Maybe it is, but it's a sucker's game to see it that way. I wrote about something I've called "The Leader's Burden" to help with this concept: https://www.gregfreeman.co/embracing-the-leaders-burden-how-to-deal-with-unmet-expectations-and-unappreciated-efforts/

Relentlessly shift your focus to what you can control and your next steps.


Energy management is a critical aspect of sustained high performance for technical leaders. By acknowledging and addressing mental challenges, accepting the possibility of failure, taking ownership, and carving out time for reflection, you can enhance your decision-making abilities and overcome obstacles with resilience. Embrace the understanding that success requires accountability and a willingness to adapt to ever-changing environments. By prioritizing energy management, you equip yourself with the tools necessary to excel as a leader, drive your team's success, and make a lasting impact.